To do =
Quote only the last part of the data further below, starting with the line that has "3.038".

Excerpt =
SrIrO3: computed powder X-ray diffraction pattern (Cu Kα X-rays), based on a structure optimized by DFT (PBE).

Principal peaks in the range 5° ≤ 2θ ≤ 70°, low angle first:
d (Å)	Rel. int.
4.629	38
4.522	21
4.050	27
2.909	88
2.882	32
2.846	53
2.772	100
2.025	44
1.655	18
1.629	38

Structure:
Cell lengths 5.5459, 5.5459, 14.4857 Å; angles 90.00, 90.00, 118.26 degrees
Element x y z (fractional)
Sr 0.0083 0.9917 0.7500
Sr 0.3234 0.6766 0.1081
Sr 0.3234 0.6766 0.3919
Sr 0.6766 0.3234 0.6081
Sr 0.6766 0.3234 0.8919
Sr 0.9917 0.0083 0.2500
Ir 0.0000 0.0000 0.0000
Ir 0.0000 0.0000 0.5000
Ir 0.3390 0.6610 0.6520
Ir 0.3390 0.6610 0.8480
Ir 0.6610 0.3390 0.1520
Ir 0.6610 0.3390 0.3480
O 0.0244 0.5186 0.7500
O 0.2003 0.2789 0.5984
O 0.2003 0.2789 0.9016
O 0.2018 0.7982 0.5429
O 0.2018 0.7982 0.9571
O 0.2789 0.2003 0.0984
O 0.2789 0.2003 0.4016
O 0.4814 0.9756 0.7500
O 0.4872 0.5128 0.7500
O 0.5128 0.4872 0.2500
O 0.5186 0.0244 0.2500
O 0.7211 0.7997 0.5984
O 0.7211 0.7997 0.9016
O 0.7982 0.2018 0.0429
O 0.7982 0.2018 0.4571
O 0.7997 0.7211 0.0984
O 0.7997 0.7211 0.4016
O 0.9756 0.4814 0.2500

Be2Tl2ZnO6F8: computed powder X-ray diffraction pattern (Cu Kα X-rays), based on a structure optimized by DFT (PBE).

Principal peaks in the range 5° ≤ 2θ ≤ 70°, low angle first:
d (Å)	Rel. int.
4.890	63
4.827	100
4.042	39
3.787	32
3.667	38
3.249	46
3.038	24
2.972	24
2.888	22
2.206	24

Structure:
Cell lengths 5.2467, 12.3985, 7.9646 Å; angles 90.00, 92.94, 90.00 degrees
Element x y z (fractional)
Be 0.2453 0.1215 0.4133
Be 0.2453 0.3785 0.9133
Be 0.7547 0.6215 0.0867
Be 0.7547 0.8785 0.5867
Tl 0.2195 0.6744 0.8305
Tl 0.2195 0.8256 0.3305
Tl 0.7805 0.1744 0.6695
Tl 0.7805 0.3256 0.1695
Zn 0.5000 0.0000 0.0000
Zn 0.5000 0.5000 0.5000
O 0.0719 0.0402 0.9937
O 0.0719 0.4598 0.4937
O 0.2874 0.6583 0.4271
O 0.2874 0.8417 0.9271
O 0.4329 0.6425 0.5824
O 0.4329 0.8575 0.0824
O 0.5671 0.1425 0.9176
O 0.5671 0.3575 0.4176
O 0.7126 0.1583 0.0729
O 0.7126 0.3417 0.5729
O 0.9281 0.5402 0.5063
O 0.9281 0.9598 0.0063
F 0.0766 0.2146 0.3344
F 0.0766 0.2854 0.8344
F 0.1656 0.1124 0.6014
F 0.1656 0.3876 0.1014
F 0.2212 0.0134 0.3086
F 0.2212 0.4866 0.8086
F 0.4593 0.6413 0.0738
F 0.4593 0.8587 0.5738
F 0.5407 0.1413 0.4262
F 0.5407 0.3587 0.9262
F 0.7788 0.5134 0.1914
F 0.7788 0.9866 0.6914
F 0.8344 0.6124 0.8986
F 0.8344 0.8876 0.3986
F 0.9234 0.7146 0.1656
F 0.9234 0.7854 0.6656

----------

Simulated powder diffraction line list of CoCuNiO4 for Cu Kα, from a structure optimized by DFT (PBE+U).

Cell and atoms:
```
14
Lattice="-2.8657 2.9259 4.0978 2.8657 -2.9259 4.0978 2.8657 2.9259 -4.0978" Properties=species:S:1:pos:R:3 pbc="T T T"
Co -1.4329 1.4629 2.0489
Co 1.4329 1.4629 2.0489
Cu 2.8657 1.4629 -1.0192
Cu 0.0000 1.4629 5.1170
Ni 0.0000 0.0000 0.0000
Ni 0.0000 2.9259 0.0000
O 1.3212 1.4629 0.1455
O 1.5446 -1.4629 4.2433
O 0.0000 0.1839 2.0259
O 2.8657 0.1839 2.0720
O 0.0000 2.7420 2.0259
O 2.8657 2.7420 2.0720
O 1.3212 4.3888 -0.1455
O 1.5446 1.4629 3.9523
```

Top 6 peaks for 2θ from 10° to 80°, sorted by position:
- 2θ 30.87, I 62.1
- 2θ 36.17, I 100.0
- 2θ 36.29, I 46.3
- 2θ 36.43, I 53.3
- 2θ 36.60, I 91.7
- 2θ 64.32, I 80.6

----------

(1)
This entry pairs a crystal structure of KH2I3O9 with its computed XRD peak list. Radiation: a wavelength of 1.5418 Å. Structure: the GGA-PBE geometry in the Materials Project.
No peak broadening, texture or thermal motion is included.

Principal peaks in the range 5° ≤ 2θ ≤ 70°, low angle first:
Position (°2θ)	d (Å)	intensity
23.6	3.777	82
24.9	3.571	73
25.8	3.449	100
27.5	3.239	72
29.7	3.011	48
31.7	2.827	41

Crystal structure
```
data_KH2I3O9
_chemical_formula_sum 'K2 H4 I6 O18'
_cell_length_a 8.3221
_cell_length_b 8.3316
_cell_length_c 8.3333
_cell_angle_alpha 66.63
_cell_angle_beta 85.95
_cell_angle_gamma 60.36
_symmetry_space_group_name_H-M 'P 1'
_symmetry_Int_Tables_number 1
_symmetry_space_group_name_Hall 'P 1'
loop_
_atom_site_label
_atom_site_type_symbol
_atom_site_fract_x
_atom_site_fract_y
_atom_site_fract_z

Outcome =
3.038	24
2.972	24
2.888	22
2.206	24

Structure:
Cell lengths 5.2467, 12.3985, 7.9646 Å; angles 90.00, 92.94, 90.00 degrees
Element x y z (fractional)
Be 0.2453 0.1215 0.4133
Be 0.2453 0.3785 0.9133
Be 0.7547 0.6215 0.0867
Be 0.7547 0.8785 0.5867
Tl 0.2195 0.6744 0.8305
Tl 0.2195 0.8256 0.3305
Tl 0.7805 0.1744 0.6695
Tl 0.7805 0.3256 0.1695
Zn 0.5000 0.0000 0.0000
Zn 0.5000 0.5000 0.5000
O 0.0719 0.0402 0.9937
O 0.0719 0.4598 0.4937
O 0.2874 0.6583 0.4271
O 0.2874 0.8417 0.9271
O 0.4329 0.6425 0.5824
O 0.4329 0.8575 0.0824
O 0.5671 0.1425 0.9176
O 0.5671 0.3575 0.4176
O 0.7126 0.1583 0.0729
O 0.7126 0.3417 0.5729
O 0.9281 0.5402 0.5063
O 0.9281 0.9598 0.0063
F 0.0766 0.2146 0.3344
F 0.0766 0.2854 0.8344
F 0.1656 0.1124 0.6014
F 0.1656 0.3876 0.1014
F 0.2212 0.0134 0.3086
F 0.2212 0.4866 0.8086
F 0.4593 0.6413 0.0738
F 0.4593 0.8587 0.5738
F 0.5407 0.1413 0.4262
F 0.5407 0.3587 0.9262
F 0.7788 0.5134 0.1914
F 0.7788 0.9866 0.6914
F 0.8344 0.6124 0.8986
F 0.8344 0.8876 0.3986
F 0.9234 0.7146 0.1656
F 0.9234 0.7854 0.6656

----------

Simulated powder diffraction line list of CoCuNiO4 for Cu Kα, from a structure optimized by DFT (PBE+U).

Cell and atoms:
```
14
Lattice="-2.8657 2.9259 4.0978 2.8657 -2.9259 4.0978 2.8657 2.9259 -4.0978" Properties=species:S:1:pos:R:3 pbc="T T T"
Co -1.4329 1.4629 2.0489
Co 1.4329 1.4629 2.0489
Cu 2.8657 1.4629 -1.0192
Cu 0.0000 1.4629 5.1170
Ni 0.0000 0.0000 0.0000
Ni 0.0000 2.9259 0.0000
O 1.3212 1.4629 0.1455
O 1.5446 -1.4629 4.2433
O 0.0000 0.1839 2.0259
O 2.8657 0.1839 2.0720
O 0.0000 2.7420 2.0259
O 2.8657 2.7420 2.0720
O 1.3212 4.3888 -0.1455
O 1.5446 1.4629 3.9523
```

Top 6 peaks for 2θ from 10° to 80°, sorted by position:
- 2θ 30.87, I 62.1
- 2θ 36.17, I 100.0
- 2θ 36.29, I 46.3
- 2θ 36.43, I 53.3
- 2θ 36.60, I 91.7
- 2θ 64.32, I 80.6

----------

(1)
This entry pairs a crystal structure of KH2I3O9 with its computed XRD peak list. Radiation: a wavelength of 1.5418 Å. Structure: the GGA-PBE geometry in the Materials Project.
No peak broadening, texture or thermal motion is included.

Principal peaks in the range 5° ≤ 2θ ≤ 70°, low angle first:
Position (°2θ)	d (Å)	intensity
23.6	3.777	82
24.9	3.571	73
25.8	3.449	100
27.5	3.239	72
29.7	3.011	48
31.7	2.827	41

Crystal structure
```
data_KH2I3O9
_chemical_formula_sum 'K2 H4 I6 O18'
_cell_length_a 8.3221
_cell_length_b 8.3316
_cell_length_c 8.3333
_cell_angle_alpha 66.63
_cell_angle_beta 85.95
_cell_angle_gamma 60.36
_symmetry_space_group_name_H-M 'P 1'
_symmetry_Int_Tables_number 1
_symmetry_space_group_name_Hall 'P 1'
loop_
_atom_site_label
_atom_site_type_symbol
_atom_site_fract_x
_atom_site_fract_y
_atom_site_fract_z